== To do ==
Quote the whole of the data further down without altering anything.

== Excerpt ==
+++
(1)
! TbPm3Pt2, optimized geometry, DFT PBE; values from VASP
! Crystal system: orthorhombic
! ΔE_f, eV/atom: -0.77
! ΔE to the lowest computed polymorph, meV/atom: 80
! SG: Ibam, No. 72
&SYSTEM
  ibrav = 0, nat = 12, ntyp = 3
/
ATOMIC_SPECIES
Tb 158.93 Tb.upf
Pm 145.00 Pm.upf
Pt 195.08 Pt.upf
CELL_PARAMETERS angstrom
7.028 0.000 0.000
0.000 7.254 0.000
-3.514 -3.627 6.987
ATOMIC_POSITIONS crystal
Tb 0.000 0.500 0.000
Tb 0.000 0.000 0.000
Pm 0.500 0.250 0.000
Pm 0.500 0.750 0.000
Pm 0.765 0.015 0.530
Pm 0.235 0.485 0.470
Pm 0.235 0.985 0.470
Pm 0.765 0.515 0.530
Pt 0.573 0.361 0.723
Pt 0.851 0.139 0.277
Pt 0.149 0.861 0.723
Pt 0.427 0.639 0.277

(2)
! TaAsAuBr2, optimized geometry, DFT PBE; values from VASP
! Crystal system: tetragonal
! ΔE to the lowest computed polymorph, meV/atom: 0
! E_form (uncorrected), meV/atom: 307
! SG: P4/mmm, No. 123
&SYSTEM
  ibrav = 0, nat = 5, ntyp = 4
/
ATOMIC_SPECIES
As 74.92 As.upf
Au 196.97 Au.upf
Br 79.90 Br.upf
Ta 180.95 Ta.upf
CELL_PARAMETERS angstrom
5.013 0.000 0.000
0.000 5.013 0.000
0.000 0.000 5.228
ATOMIC_POSITIONS crystal
As 0.000 0.000 0.500
Au 0.500 0.500 0.500
Br 0.000 0.500 0.000
Br 0.500 0.000 0.000
Ta 0.000 0.000 0.000

(3)
! NaLiAl2, optimized geometry, DFT PBE; values from VASP
! Crystal system: tetragonal
! ΔE_f, eV/atom: 0.25
! ΔE to the lowest computed polymorph, meV/atom: 61
! SG: I-42d, No. 122
&SYSTEM
  ibrav = 0, nat = 8, ntyp = 3
/
ATOMIC_SPECIES
Na 22.99 Na.upf
Al 26.98 Al.upf
Li 6.94 Li.upf
CELL_PARAMETERS angstrom
-3.011 -0.629 -2.611
-2.386 -1.172 3.034
-5.889 8.967 1.514
ATOMIC_POSITIONS crystal
Na 0.000 0.000 0.000
Na 0.750 0.250 0.500
Al 0.142 0.125 0.250
Al 0.608 0.625 0.250
Al 0.375 0.858 0.750
Al 0.875 0.392 0.750
Li 0.500 0.500 0.000
Li 0.250 0.750 0.500

(4)
! PSO, optimized geometry, DFT PBE; values from VASP
! Crystal system: triclinic
! ΔE to the lowest computed polymorph, meV/atom: 0
! E_form (uncorrected), meV/atom: -888
! SG: P1, No. 1
&SYSTEM
  ibrav = 0, nat = 6, ntyp = 3
/
ATOMIC_SPECIES
P 30.97 P.upf
S 32.06 S.upf
O 16.00 O.upf
CELL_PARAMETERS angstrom
5.225 0.120 -0.647
2.616 4.537 0.229
1.847 1.601 5.717
ATOMIC_POSITIONS crystal
P 0.500 0.055 0.867
P 0.827 0.216 0.092
S 0.273 0.963 0.191
S 0.706 0.633 0.783
O 0.801 0.990 0.989
O 0.658 0.249 0.307

(5)
! Sm2NiHPt6, optimized geometry, DFT PBE; values from VASP
! Crystal system: trigonal
! Electronic total energy, eV per cell: -61.9
! SG: R-3m, No. 166
&SYSTEM
  ibrav = 0, nat = 10, ntyp = 4
/
ATOMIC_SPECIES
Sm 150.36 Sm.upf
Ni 58.69 Ni.upf
H 1.01 H.upf
Pt 195.08 Pt.upf
CELL_PARAMETERS angstrom
-4.651 2.866 1.295
1.047 -1.370 6.792
0.339 4.603 3.199
ATOMIC_POSITIONS crystal
Sm 0.712 0.136 0.576
Sm 0.288 0.864 0.424
Ni 0.000 0.000 0.000
H 0.500 0.500 0.000
Pt 0.267 0.311 0.465
Pt 0.733 0.689 0.043
Pt 0.225 0.690 0.043
Pt 0.775 0.310 0.957
Pt 0.267 0.311 0.957
Pt 0.733 0.689 0.535

(6)
! LiZnRe2, optimized geometry, DFT PBE; values from VASP
! Crystal system: tetragonal
! ΔE_f, eV/atom: 0.14
! SG: P4mm, No. 99
&SYSTEM
  ibrav = 0, nat = 4, ntyp = 3
/
ATOMIC_SPECIES
Li 6.94 Li.upf
Re 186.21 Re.upf
Zn 65.41 Zn.upf
CELL_PARAMETERS angstrom
3.085 0.000 0.000
0.000 3.085 0.000
0.000 0.000 6.064
ATOMIC_POSITIONS crystal
Li 0.500 0.500 0.736
Re 0.000 0.000 0.010
Re 0.500 0.500 0.228
Zn 0.000 0.000 0.526

(7)
! TaHgIO6, optimized geometry, DFT PBE; values from VASP
! Crystal system: triclinic
! E_form (uncorrected), meV/atom: -1217
! SG: P1, No. 1
&SYSTEM
  ibrav = 0, nat = 9, ntyp = 4
/
ATOMIC_SPECIES
Ta 180.95 Ta.upf
Hg 200.59 Hg.upf
I 126.90 I.upf
O 16.00 O.upf
CELL_PARAMETERS angstrom
-3.462 3.126 -3.662
-5.518 -1.381 -1.717
-2.630 1.490 4.830
ATOMIC_POSITIONS crystal
Ta 0.658 0.658 0.500
Hg 0.028 0.030 0.000
I 0.312 0.311 0.500
O 0.960 0.423 0.299
O 0.423 0.959 0.701
O 0.691 0.356 0.722
O 0.033 0.538 0.698
O 0.355 0.693 0.278
O 0.540 0.032 0.301

(8)
! ZnCu2Tc, optimized geometry, DFT PBE; values from VASP
! Crystal system: orthorhombic
! ΔE_f, eV/atom: 0.07
! SG: Cmmm, No. 65
&SYSTEM
+++

== Response ==
(1)
! TbPm3Pt2, optimized geometry, DFT PBE; values from VASP
! Crystal system: orthorhombic
! ΔE_f, eV/atom: -0.77
! ΔE to the lowest computed polymorph, meV/atom: 80
! SG: Ibam, No. 72
&SYSTEM
  ibrav = 0, nat = 12, ntyp = 3
/
ATOMIC_SPECIES
Tb 158.93 Tb.upf
Pm 145.00 Pm.upf
Pt 195.08 Pt.upf
CELL_PARAMETERS angstrom
7.028 0.000 0.000
0.000 7.254 0.000
-3.514 -3.627 6.987
ATOMIC_POSITIONS crystal
Tb 0.000 0.500 0.000
Tb 0.000 0.000 0.000
Pm 0.500 0.250 0.000
Pm 0.500 0.750 0.000
Pm 0.765 0.015 0.530
Pm 0.235 0.485 0.470
Pm 0.235 0.985 0.470
Pm 0.765 0.515 0.530
Pt 0.573 0.361 0.723
Pt 0.851 0.139 0.277
Pt 0.149 0.861 0.723
Pt 0.427 0.639 0.277

(2)
! TaAsAuBr2, optimized geometry, DFT PBE; values from VASP
! Crystal system: tetragonal
! ΔE to the lowest computed polymorph, meV/atom: 0
! E_form (uncorrected), meV/atom: 307
! SG: P4/mmm, No. 123
&SYSTEM
  ibrav = 0, nat = 5, ntyp = 4
/
ATOMIC_SPECIES
As 74.92 As.upf
Au 196.97 Au.upf
Br 79.90 Br.upf
Ta 180.95 Ta.upf
CELL_PARAMETERS angstrom
5.013 0.000 0.000
0.000 5.013 0.000
0.000 0.000 5.228
ATOMIC_POSITIONS crystal
As 0.000 0.000 0.500
Au 0.500 0.500 0.500
Br 0.000 0.500 0.000
Br 0.500 0.000 0.000
Ta 0.000 0.000 0.000

(3)
! NaLiAl2, optimized geometry, DFT PBE; values from VASP
! Crystal system: tetragonal
! ΔE_f, eV/atom: 0.25
! ΔE to the lowest computed polymorph, meV/atom: 61
! SG: I-42d, No. 122
&SYSTEM
  ibrav = 0, nat = 8, ntyp = 3
/
ATOMIC_SPECIES
Na 22.99 Na.upf
Al 26.98 Al.upf
Li 6.94 Li.upf
CELL_PARAMETERS angstrom
-3.011 -0.629 -2.611
-2.386 -1.172 3.034
-5.889 8.967 1.514
ATOMIC_POSITIONS crystal
Na 0.000 0.000 0.000
Na 0.750 0.250 0.500
Al 0.142 0.125 0.250
Al 0.608 0.625 0.250
Al 0.375 0.858 0.750
Al 0.875 0.392 0.750
Li 0.500 0.500 0.000
Li 0.250 0.750 0.500

(4)
! PSO, optimized geometry, DFT PBE; values from VASP
! Crystal system: triclinic
! ΔE to the lowest computed polymorph, meV/atom: 0
! E_form (uncorrected), meV/atom: -888
! SG: P1, No. 1
&SYSTEM
  ibrav = 0, nat = 6, ntyp = 3
/
ATOMIC_SPECIES
P 30.97 P.upf
S 32.06 S.upf
O 16.00 O.upf
CELL_PARAMETERS angstrom
5.225 0.120 -0.647
2.616 4.537 0.229
1.847 1.601 5.717
ATOMIC_POSITIONS crystal
P 0.500 0.055 0.867
P 0.827 0.216 0.092
S 0.273 0.963 0.191
S 0.706 0.633 0.783
O 0.801 0.990 0.989
O 0.658 0.249 0.307

(5)
! Sm2NiHPt6, optimized geometry, DFT PBE; values from VASP
! Crystal system: trigonal
! Electronic total energy, eV per cell: -61.9
! SG: R-3m, No. 166
&SYSTEM
  ibrav = 0, nat = 10, ntyp = 4
/
ATOMIC_SPECIES
Sm 150.36 Sm.upf
Ni 58.69 Ni.upf
H 1.01 H.upf
Pt 195.08 Pt.upf
CELL_PARAMETERS angstrom
-4.651 2.866 1.295
1.047 -1.370 6.792
0.339 4.603 3.199
ATOMIC_POSITIONS crystal
Sm 0.712 0.136 0.576
Sm 0.288 0.864 0.424
Ni 0.000 0.000 0.000
H 0.500 0.500 0.000
Pt 0.267 0.311 0.465
Pt 0.733 0.689 0.043
Pt 0.225 0.690 0.043
Pt 0.775 0.310 0.957
Pt 0.267 0.311 0.957
Pt 0.733 0.689 0.535

(6)
! LiZnRe2, optimized geometry, DFT PBE; values from VASP
! Crystal system: tetragonal
! ΔE_f, eV/atom: 0.14
! SG: P4mm, No. 99
&SYSTEM
  ibrav = 0, nat = 4, ntyp = 3
/
ATOMIC_SPECIES
Li 6.94 Li.upf
Re 186.21 Re.upf
Zn 65.41 Zn.upf
CELL_PARAMETERS angstrom
3.085 0.000 0.000
0.000 3.085 0.000
0.000 0.000 6.064
ATOMIC_POSITIONS crystal
Li 0.500 0.500 0.736
Re 0.000 0.000 0.010
Re 0.500 0.500 0.228
Zn 0.000 0.000 0.526

(7)
! TaHgIO6, optimized geometry, DFT PBE; values from VASP
! Crystal system: triclinic
! E_form (uncorrected), meV/atom: -1217
! SG: P1, No. 1
&SYSTEM
  ibrav = 0, nat = 9, ntyp = 4
/
ATOMIC_SPECIES
Ta 180.95 Ta.upf
Hg 200.59 Hg.upf
I 126.90 I.upf
O 16.00 O.upf
CELL_PARAMETERS angstrom
-3.462 3.126 -3.662
-5.518 -1.381 -1.717
-2.630 1.490 4.830
ATOMIC_POSITIONS crystal
Ta 0.658 0.658 0.500
Hg 0.028 0.030 0.000
I 0.312 0.311 0.500
O 0.960 0.423 0.299
O 0.423 0.959 0.701
O 0.691 0.356 0.722
O 0.033 0.538 0.698
O 0.355 0.693 0.278
O 0.540 0.032 0.301

(8)
! ZnCu2Tc, optimized geometry, DFT PBE; values from VASP
! Crystal system: orthorhombic
! ΔE_f, eV/atom: 0.07
! SG: Cmmm, No. 65
&SYSTEM